Newest off the wall idea so you can tell me I suck . . .
[Someone pasted materials data at this point]
=====
A plane-wave DFT calculation with GGA+U was carried out for ScMoO2F after structural relaxation.

Results
- energy (eV per atom) = -7.041
- M_tot (μB per cell) = 4.0

Cell lengths 4.127, 4.127, 3.979 Å; angles 90.00, 90.00, 90.00 degrees
Last column: magnetic moment on the atom in μB.
Sites, in units of the cell vectors:
O (0.000, 0.500, 0.000)  -0.10
O (0.500, 0.000, 0.000)  -0.10
=====
First premise, in ISC Invasion, the Disengagement rule will be applied to the SHIP, not the pilot. We will have as full of an OOB as possible. Get kicked out in a Sparrowhawk, come back in a Firehawk. Get killed in a G-CM, have your race leader assign you another one and you can got back into the hex. The Attrition will be of an empires shipyards, not it’s space.
In a 3v3 situation it is quite possible, even with meticulously crafted fleeting rules, to have a situation where 3 good pilots can put together a fleet that just can’t be beaten (I-BBZ, I-CATZ, I-CATZ fits that category). In traditional D2 you could fight around this, attack where they aren’t. But in this style of a server you don’t really have that option, engaging the enemy is the only way to win.
So what can you do in this situation? How do you win the un-winnable scenario? Do what Kirk did, cheat!
Well, Kirk didn’t really cheat in the Kobiashi Maru, he just reprogrammed the simulation so that victory is possible. That’s what we have to do, “re-program” the nature of D2 so that a 3-ship Uber-fleet is beatable in a war of attrition. How do you do that? It’s easy; remove one of the least realistic parts of D2: instant repair!
Insta-repair quite frankly is really silly. When ships in the Trek/SFB universe get F’d up it takes months to fix, not just pressing a button. Repair will no longer be available at starbases, since this isn’t possible it will be stopped by setting the prices for repair as prohibitively high. This will be a turn-based campaign and real-repairs of a ship will require taking it off the frontline and it will need to spend some time in dry-dock and it will cost something in production points (to be determined . . .).
At bases you will still be able to buy drones, shuttles, fighters (making carries worth their weight in gold, PFs will be handled differently), marines, mines, and spare parts to repair yourself in combat, but it won’t be the same. Your “7th shield” won’t come back. Hull, Excess Damage, Labs, Control Stations, ain’t reparable via the engineering panel. Even if you have all of your weapons and power systems working a ship held together with chewing-gum and duct tape is going to start falling apart quickly once it starts taking damage. CA ships and bigger are going to be rare so once they start taking serious damage from a few fights it will behoove an admiral to take that ship off the line.
So how does this balance out the 3-ship ubber-fleet? CLs are going to be plentiful, these will make up of the ships in a fleet. Suicide runs add up! If you loose five D5 hulls to get a CCZ taken off the line it’s worth it! Fighters, PFs, attrition units will be able to do the same. I also think the first fleets to attack hexes will be CL/CW fleets as it just makes sense to start an invasion of a hex with the war cruisers. Why risk damaging an expensive ship on the AI?
Questions? Comment? Demands that I take my meds?